Spring Conference Roundup

Alyson McPhee
Monday — The Dynamo Blog
5 min readJul 18, 2017

This spring was a busy conference season for Dynamo. Montrealers are always eager to embrace the first signs of life peeking out from melted snowbanks, and this year our yearning for sunnier days was driven by more than the desire to stow away our Sorels and break out the prosecco for wine o’clock on the terrace, we also had plenty of networking and learning to do.

We kicked off the season with CultureFest, the first event in the province of Quebec to be fully dedicated to improving workplace culture, flew to New Orleans for America’s fastest growing tech conference, Collision, and arrived back just in time to catch C2 Montréal’s internationally renowned creative business gathering.

Read on for a quick recap of the events, and stay tuned for a follow up post where we share our advice for conference going and hosting, based on our key takeaways from this season.


On April 12th, over 500 professionals were united by their enthusiasm for improving workplace design, function, and increasing a sense of community at their respective companies.

One clear idea that was constantly reiterated is that company culture is an ever-changing thing. There is no “set it and forget it” strategy to fostering a positive workplace culture, and we need to remind ourselves that as our teams evolve, we need to allow the culture and workplace to evolve and grow as well. Konval Matin, the Director of Culture and Talent Development at Shopify, stood out as a pioneer in this industry. Throughout her talk, Matin summarized a key point on the minds of many conference attendees: when thinking about culture, companies must be thoughtful and intentional with perks and resources. It is vital that employees see value in what is being offered to them, so it’s essential to ask what they want instead of making assumptions on their behalf.


Alyson and Sam at Collision

Next up was our biggest event of the season, Collision, with a reported total of over 20,000 attendees. We listened to over 35 speakers, on topics ranging from marketing to design, coding to robotics, SaaS to big data to AI and Sustainability. The event was conveniently timed to coincide with Jazz Fest in New Orleans, so there were no shortage of sights to see and sounds to hear. We attended 7 associated networking events, bowled a combined score of 154 between two people (hint, that’s nothing to brag about), ate a few dozen crawfish, 1 gumbo, and 9 beignets.

Next to the piece, the page also holds calculated crystals:
********
No. 1
Theoretical powder diffraction line list of Ba2C2ClO6 for Cu Kα X-rays, from a PBE-relaxed structure.

The 12 most intense peaks (5 to 70 degrees two-theta), by intensity:
hkl  two_theta  d/Å  intensity
1 1 -1  28.03  3.183  100.0
0 1 1  20.06  4.426  71.5
1 -1 1  28.17  3.167  67.2
1 2 2  38.57  2.334  51.0
1 0 0  19.81  4.481  50.2
1 1 1  22.77  3.905  47.8
1 0 2  30.21  2.959  37.4
0 1 -1  19.71  4.505  37.1
1 2 0  30.38  2.943  36.6
0 2 0  28.44  3.138  31.9
2 1 1  38.15  2.359  30.1
0 3 -1  45.37  1.999  27.7

Atomic structure:
a = 4.783 Å, b = 6.493 Å, c = 6.563 Å
α = 87.28°, β = 75.50°, γ = 75.19°
Space group P-1 (No. 2)
Symmetry-distinct sites (fractional):
Ba 0.006 0.250 0.247
C 0.390 0.178 0.677
Cl 0.500 0.500 0.000
O 0.241 0.336 0.589
O 0.254 0.083 0.835
O 0.326 0.888 0.394

=====

No. 2
Theoretical powder diffraction line list of Ba3CCl4O3 for Cu Kα X-rays, from a PBE-relaxed structure.

The 12 most intense peaks (5 to 70 degrees two-theta), by intensity:
hkl  two_theta  d/Å  intensity
2 2 2  31.37  2.852  100.0
1 0 3  23.37  3.806  66.3
1 2 1  22.33  3.982  62.8
1 0 4  29.91  2.987  60.3
0 2 2  23.13  3.845  52.5
2 0 0  20.89  4.252  43.2
2 4 0  43.16  2.096  32.8
1 2 5  41.41  2.181  32.2
0 4 0  37.34  2.408  32.1
1 4 3  44.52  2.035  29.7
0 2 4  33.69  2.660  28.7
3 0 3  38.15  2.359  22.9

Atomic structure:
a = 8.504 Å, b = 9.633 Å, c = 12.768 Å
α = 90.00°, β = 90.00°, γ = 90.00°
Space group Pnma (No. 62)
Symmetry-distinct sites (fractional):
Ba 0.039 0.009 0.183
Ba 0.043 0.750 0.464
C 0.231 0.250 0.708
Cl 0.049 0.250 0.988
Cl 0.167 0.750 0.700
Cl 0.188 0.041 0.414
O 0.133 0.750 0.254
O 0.167 0.132 0.682


# KBa2Cd2Sb3
Calculated X-ray diffraction stick pattern, Cu Kα (λ = 1.5418 Å). Input: a DFT-relaxed cell (GGA-PBE, OQMD).
Neutral-atom scattering factors, no anomalous dispersion.

The 8 most intense peaks (2θ from 10° to 90°), in order of falling intensity:
| Position (°2θ) | I/Imax | index |
| --- | --- | --- |
| 28.5 | 100 | 1 1 4 |
| 34.4 | 71 | 3 1 4 |
| 27.5 | 69 | 3 1 1 |
| 36.0 | 57 | 0 2 0 |
| 38.0 | 32 | 4 0 5 |
| 26.9 | 32 | 4 0 0 |
| 30.8 | 24 | 2 1 4 |
| 29.0 | 20 | 4 0 2 |

Crystal structure
a b c (Å): 13.2503 4.9924 16.9070
angles (deg): 90.00 90.00 90.00
Space group Pnma (No. 62)
Inequivalent atoms, fractional coordinates:
K (0.1005, 0.2500, 0.0537) x4
Ba (0.1000, 0.7500, 0.4284) x4
Ba (0.1279, 0.2500, 0.7894) x4
Cd (0.1355, 0.2500, 0.2833) x4
Cd (0.1951, 0.2500, 0.5835) x4
Sb (0.0785, 0.7500, 0.6351) x4
Sb (0.1340, 0.7500, 0.1961) x4
Sb (0.2117, 0.7500, 0.9245) x4


(1)
Starting from a crystal structure in Alexandria, relaxed with GGA-PBE, the X-ray powder pattern of NaTi4O8 was computed for Cu Kα.

Cell and atoms:
```
data_NaTi4O8
_chemical_formula_sum 'Na2 Ti8 O16'
_cell_length_a 14.430
_cell_length_b 2.989
_cell_length_c 9.979
_cell_angle_alpha 90.00
_cell_angle_beta 133.33
_cell_angle_gamma 90.00
_space_group_name_H-M_alt 'C 1 m 1'
_space_group_IT_number 8
loop_
_space_group_symop_operation_xyz
********

Collision speaker Kathryn Minshew

One of our favourite speakers from Collision included Kathryn Minshew of The Muse, a website with relevant resources to help 50 million people navigate their careers, specifically targeting millennials. One of our key takeaways from this talk was Kathryn’s advice to “position a career like you advertise a product”. Employers will continue to face the ongoing challenge of attracting and retaining top talent in the information age, and it’s essential to have a strategy to invest in promoting your company to employees. She added that you need to be representing yourself in a genuine and accurate way, because you can guarantee that millennials will check your references instead of taking you at your word when you say that your company is a great place to work.

We were also highly entertained by Chris Sacca’s talk. The “Billionaire Venture Cowboy” was refreshingly candid in his tell-all interview one week after announcing that he was retiring from the VC world to invest his time, money, and expertise in worthy charities and political activism projects. If you haven’t read his retirement blog post yet, we highly recommend it. We especially appreciate that his highest priority at the moment is to ensure that his kids don’t grow up to be entitled.

Collision speaker Chris Sacca

C2 Montréal

Approximately 6,000 business and creative-minded professionals flocked to a whimsical adult playground set up in the canalside Griffintown neighbourhood for the 6th edition of C2 Montréal. Our very own Alex Nemeroff interviewed keynote speakers on site in C2’s live broadcast space, dubbed “The Aquarium”, and moderated a VR panel with Félix Lajeunesse & Paul Raphaël — Co-Founders and Creative Directors of Félix & Paul Studios. We also published a series of Workmode podcasts in partnership with Accelerate/MTL (C2’s startup offshoot event) in the days leading up to the conference.

Interviews in the Aquarium. Photo courtesy of C2 Montréal.

Whether it’s your first time, or your sixth time participating in this one of a kind event, the feeling you’ll inevitably get when you first walk into the venue is of sensory overload. Having taken part in Beckii Adel’s pilot mindfulness program just the night before, I was acutely aware of the mindfulness minefield I was being presented with; dazzling lights, acrobats, electric boat rides, chocolate dipped everything, and speakers in a circus-style big top tent constantly competing for a sliver of your attention. This is the kind of event that you can only dive into head first, there’s no testing the water with your toes.

Just like in previous years, one of the most rewarding aspects of my C2 experience was exchanging with dozens of strangers in the e-180 brain dating lounge. The system makes it very simple to connect with other conference participants who can relate to specific topics of shared interest.

Some of our favourite speakers at C2 included; Dror Benshetrit, who helped Tumi increase sales by 60% by drastically reducing their product line and simplifying the visual categorization of products in their showroom (more proof of the Paradox of Choice); Karim Rashid, an Industrial Designer who advocates for fully embracing the immaterial age and maximize the world’s energy being spent on digital production; Michelle Thaller, Deputy Director for Science Communication at NASA; and Meredith Haberfield, the founder of ThinkHuman, who ran an organizational culture workshop. In Meredith’s workshop, we learned that companies have spent four billion dollars on “employee engagement” over the past five years, but have not seen engagement numbers rise, and we brainstormed practical solutions to the problem.

All in all, we absorbed as much creativity and inspiration as we could handle, and kicked off the summer with a fresh start. Did you attend any of these spring conferences, or are there any others that you’d recommend?

Thanks to Sam Colby for her contribution to this post. Check out our newest Workmode podcast episodes here, and stay tuned for our follow up post on how to host a world class conference and how to make the most out of your time as a participant.



Alyson McPhee
Monday — The Dynamo Blog

Aspiring minimalist | humble Canadian | workplace design enthusiast